_Work order_
It remains to work out how many lines underneath have the word "Zn" in them; a number is enough.

_Given_
+++
VASP calculation (PBE-GGA) on a geometry-optimized Na3ZnB structure.

The formation energy from the elements comes out at 0.774 eV/atom. The energy above the most stable polymorph in this dataset is 0.000 eV/atom.

The structure belongs to space group Pm-3m (No. 221); the cell edges are 5.160, 5.160 and 5.160 Å and the angles 90.00°, 90.00° and 90.00°. The asymmetric unit holds Na at (0.000, 0.000, 0.500), Zn at (0.500, 0.500, 0.500) and B at (0.000, 0.000, 0.000).


VASP calculation (PBE-GGA) on a geometry-optimized Ba2LiGe3 structure.

The formation energy from the elements comes out at -0.563 eV/atom.

The structure belongs to space group Fmmm (No. 69); the cell edges are 8.997, 9.871 and 15.449 Å and the angles 90.00°, 90.00° and 90.00°. The asymmetric unit holds Ba at (0.000, 0.242, 0.000), Ba at (0.250, 0.250, 0.250), Li at (0.000, 0.000, 0.334), Ge at (0.000, 0.000, 0.164) and Ge at (0.248, 0.000, 0.082).


VASP calculation (PBE-GGA) on a geometry-optimized SrFeMoOs2 structure.

The formation energy from the elements comes out at 1.233 eV/atom.

The structure belongs to space group P4/mmm (No. 123); the cell edges are 4.802, 4.802 and 4.699 Å and the angles 90.00°, 90.00° and 90.00°. The asymmetric unit holds Sr at (0.000, 0.000, 0.000), Fe at (0.500, 0.500, 0.000), Mo at (0.500, 0.500, 0.500) and Os at (0.000, 0.500, 0.500).


Question: Which of these has the lowest formation energy from the elements?
Answer: Ba2LiGe3
+++

_Solution_
1